Pdf download the eridu genesis
Later, Ninurta became beloved by the Assyrians as a formidable warrior. The Assyrian king Ashurnasirpal II (ruled 883–859 BC) built a massive temple for him at Kalhu, which became his most important cult center from then on. The south became the native Sealand Dynasty, remaining free of Babylon for the next 272 years. The name of the first is Pishon, which is the circumnavigator of the land of Havilah where there is gold. And the gold of this land is good; there are bdellium and cornelian stone.
the stories in Genesis and the tales that come from other parts of Eve occur primarily in Genesis 1-5, I will begin by showing (3) the Eridu Genesis / Sumerian Flood Tale14 Dead Sea Scrolls in English(4th ed.; London: Penguin,. 1995)
Genesis tells us the garden was planted after a provision had been made for water. And we can infer a canal from the Euphrates was the provision.
During the span of almost 30 years he has been involved in studies regarding more than 20 different topics, often being a precursor in the italian scene, such as: History of Religions, Occultism & Magick (he is one of the leading experts on…
ERICH VONDANIKEN IN SEARCH ••OF THEGODS THREE VOLUMES IN ONEAVENEL BOOKS NEW YORK Originally published in separa alt.binaries.e-book (PDF) and (HTML-PIC-TEXT-PDB Bundle) of Genesis, J tells us that God appeared to Abraham by the oak tree of Mamre, near Hebron. from the Euphrates called the Chebar, not far from Nippur and Ur, in an area which. 11 Jun 2015 The Enuma Elish (Enûma Eliš) is the Babylonian creation myth that describes the great hero Marduk's battle with the great primordial dragon The Sumerian flood myth is older than the one in Genesis, which is why I The Eridu Genesis was discovered on a fragmentary tablet by historian Thorkild Jacobsen. This is You can actually download it free if you Google search for the pdf. Eridu Genesis PDF - of beginnings, a Genesis, and, as I shall try to show in detail later, it prefigures so to speak, the biblical Genesis in its structure. The god Enki and "The flaws in Rohl's arguments are too numerous to cover in detail, so a few instances will have to suffice. To begin, the account of the archaeological evidence from Mesopotamia (Chapter 3) is based upon Mellaart's now substantially out-of… Whatever else it may be, Genesis 1 is "story", since it features character and characterisation, a narrator, and dramatic tension expressed through a series of incidents arranged in time.
The Eridu Genesis is a Sumerian text. It covers the creation of the world, invention of cities and the flood. After the universe was created out of the chaos of the
Misplaced calculated crystals >
=====
Entry from Materials Project: an optimized crystal structure of TeMoWSe2S (GGA-PBE).

Offset from the most stable computed form (eV per atom): 0.022
Size of the total moment (μB per atom): 0.000
DFT formation energy (meV/atom): -602
V (Å³ per cell): 368.73

a = 3.3436 Å, b = 3.3436 Å, c = 38.0855 Å
α = 90.00°, β = 90.00°, γ = 120.00°
Space group P3m1 (No. 156)
One atom of each set of equivalent atoms:
Te 0.0000 0.0000 0.0000 x1
Te 0.0000 0.0000 0.1001 x1
Mo 0.0000 0.0000 0.2379 x1
Mo 0.0000 0.0000 0.8621 x1
W 0.3333 0.6667 0.0500 x1
W 0.3333 0.6667 0.4258 x1
Se 0.3333 0.6667 0.1942 x1
Se 0.3333 0.6667 0.2817 x1
Se 0.3333 0.6667 0.8184 x1
Se 0.3333 0.6667 0.9059 x1
S 0.0000 0.0000 0.3858 x1
S 0.0000 0.0000 0.4658 x1

=====

Entry from Materials Project: an optimized crystal structure of Te2Mo3WSe2S4 (GGA-PBE).

Offset from the most stable computed form (eV per atom): 0.016
Size of the total moment (μB per atom): 0.000
DFT formation energy (meV/atom): -757
V (Å³ per cell): 370.58

a = 3.3070 Å, b = 3.3070 Å, c = 39.1271 Å
α = 90.00°, β = 90.00°, γ = 120.00°
Space group P3m1 (No. 156)
One atom of each set of equivalent atoms:
Te 0.0000 0.0000 0.0000 x1
Te 0.0000 0.0000 0.0978 x1
Mo 0.0000 0.0000 0.8614 x1
Mo 0.3333 0.6667 0.0489 x1
Mo 0.3333 0.6667 0.4255 x1
W 0.0000 0.0000 0.2388 x1
Se 0.3333 0.6667 0.1957 x1
Se 0.3333 0.6667 0.2819 x1
S 0.0000 0.0000 0.3864 x1
S 0.0000 0.0000 0.4645 x1
S 0.3333 0.6667 0.8224 x1
S 0.3333 0.6667 0.9004 x1

=====

Entry from Materials Project: an optimized crystal structure of Te2MoWSeS (GGA-PBE).

Offset from the most stable computed form (eV per atom): 0.057
Size of the total moment (μB per atom): 0.001
DFT formation energy (meV/atom): -450
V (Å³ per cell): 388.66

a = 3.4013 Å, b = 3.4013 Å, c = 38.7918 Å
α = 90.00°, β = 90.00°, γ = 120.00°
Space group P3m1 (No. 156)
One atom of each set of equivalent atoms:
Te 0.0000 0.0000 0.0000 x1
Te 0.0000 0.0000 0.0970 x1
Te 0.3333 0.6667 0.1880 x1
Te 0.3333 0.6667 0.2850 x1
Mo 0.0000 0.0000 0.8607 x1
Mo 0.3333 0.6667 0.4243 x1
W 0.0000 0.0000 0.2365 x1
W 0.3333 0.6667 0.0485 x1
Se 0.0000 0.0000 0.3819 x1
Se 0.0000 0.0000 0.4667 x1
S 0.3333 0.6667 0.8219 x1
S 0.3333 0.6667 0.8995 x1

=====

Entry from Materials Project: an optimized crystal structure of Te2Mo3WSe4S2 (GGA-PBE).

Offset from the most stable computed form (eV per atom): 0.001
Size of the total moment (μB per atom): 0.000
DFT formation energy (meV/atom): -652
V (Å³ per cell): 367.44

a = 3.3408 Å, b = 3.3408 Å, c = 38.0144 Å
α = 90.00°, β = 90.00°, γ = 120.00°
Space group P3m1 (No. 156)
One atom of each set of equivalent atoms:
Te 0.0000 0.0000 0.0000 x1
Te 0.0000 0.0000 0.0997 x1
Mo 0.0000 0.0000 0.4862 x1
Mo 0.0000 0.0000 0.8619 x1
Mo 0.3333 0.6667 0.0499 x1
W 0.3333 0.6667 0.6741 x1
Se 0.3333 0.6667 0.4424 x1
Se 0.3333 0.6667 0.5300 x1
Se 0.3333 0.6667 0.8181 x1
Se 0.3333 0.6667 0.9058 x1
S 0.0000 0.0000 0.6340 x1
S 0.0000 0.0000 0.7141 x1

=====
=====
alt.binaries.e-book (PDF) and (HTML-PIC-TEXT-PDB Bundle) of Genesis, J tells us that God appeared to Abraham by the oak tree of Mamre, near Hebron. from the Euphrates called the Chebar, not far from Nippur and Ur, in an area which. 11 Jun 2015 The Enuma Elish (Enûma Eliš) is the Babylonian creation myth that describes the great hero Marduk's battle with the great primordial dragon The Sumerian flood myth is older than the one in Genesis, which is why I The Eridu Genesis was discovered on a fragmentary tablet by historian Thorkild Jacobsen. This is You can actually download it free if you Google search for the pdf. Eridu Genesis PDF - of beginnings, a Genesis, and, as I shall try to show in detail later, it prefigures so to speak, the biblical Genesis in its structure. The god Enki and "The flaws in Rohl's arguments are too numerous to cover in detail, so a few instances will have to suffice. To begin, the account of the archaeological evidence from Mesopotamia (Chapter 3) is based upon Mellaart's now substantially out-of…
(Records of crystals from another source follow)
┌──
(1)
24
Lattice="-4.529 1.663 2.188 2.651 -4.051 2.150 4.471 5.570 7.089" Properties=species:S:1:pos:R:3 comment="PBE+U Li5Ti2Mn5O12, optimized geometry" e_form_mev_per_atom=-2468 crystal_system=monoclinic energy_ha_per_atom=-0.265 pbc="T T T"
Li 1.322 2.930 8.635
Li 0.315 -0.964 4.990
Li -0.022 1.281 2.799
Li 3.571 3.117 6.430
Li 2.043 -3.567 2.153
Ti -2.785 0.276 2.179
Ti 3.072 0.178 5.704
Mn -1.717 3.989 5.730
Mn 2.430 -0.731 2.831
Mn 3.833 0.992 8.577
Mn 0.711 2.056 5.717
Mn -0.398 -1.625 2.166
O 1.048 -0.168 1.340
O 2.984 2.204 10.079
O -0.267 3.293 7.203
O -0.723 2.740 4.243
O -1.277 -0.285 3.472
O 2.562 4.508 7.963
O 2.325 1.425 7.052
O 1.680 0.633 4.368
O 1.034 -2.310 3.584
O 5.053 2.711 7.825
O 1.875 3.739 4.895
O -0.661 0.541 6.539

=====

(2)
56
Lattice="-5.921 0.000 0.000 2.932 5.302 0.000 -0.168 -2.583 -19.683" Properties=species:S:1:pos:R:3 comment="PBE+U Li7Ti5Mn12O32, optimized geometry" e_form_mev_per_atom=-2458 crystal_system=triclinic energy_ha_per_atom=-0.273 pbc="T T T"
Li -1.679 1.820 -19.090
Li -1.644 1.667 -15.389
Li -4.534 -0.230 -14.053
Li -4.545 -0.368 -10.636
Li 1.388 2.921 -5.403
Li -1.541 1.112 -4.366
Li -1.496 0.887 -0.625
Ti -0.203 -0.836 -17.208
Ti -4.440 2.594 -0.048
Ti 1.328 1.765 -17.222
Ti 1.407 3.071 -9.232
Ti -3.009 3.716 -2.483
Mn -3.126 -0.917 -17.248
Mn 1.339 3.335 -14.742
Mn -0.141 2.337 -12.375
Mn -0.063 0.292 -7.290
Mn -3.051 2.338 -12.364
Mn -1.551 3.018 -7.302
Mn -1.582 -0.262 -12.379
Mn -3.048 0.324 -7.311
Mn -1.575 1.364 -9.945
Mn -4.474 -0.640 -4.887
Mn -0.053 3.672 -2.445
Mn -4.464 1.014 -2.473
O -0.055 0.761 -18.360
O -4.598 -1.519 -18.437
O -3.360 0.922 -18.463
O -0.278 -1.257 -13.464
O -4.601 -0.045 -16.225
O 0.045 2.550 -16.033
O -1.649 -1.800 -18.254
O -1.722 1.512 -13.488
O -1.622 -0.200 -16.179
O -3.255 2.712 -16.141
O -1.597 3.069 -11.312
O -0.261 0.664 -11.227
O 1.372 1.637 -13.351
O -2.884 -1.277 -13.446
O 1.456 3.174 -11.022
O -0.169 2.189 -8.685
O -2.895 0.645 -11.177
O -4.540 -0.573 -8.299
O -4.621 0.942 -6.043
O -0.187 3.981 -6.005
O -1.477 -0.490 -8.550
O -3.035 2.093 -8.683
O -1.528 3.079 -3.659
O 0.088 0.053 -3.563
O -1.535 4.348 -1.382
O -1.530 1.258 -6.430
O -3.203 0.194 -3.673
O -2.854 3.832 -6.032
O 1.443 2.949 -3.464
O 0.181 1.817 -1.192
O -3.115 1.956 -1.309
O 1.447 4.256 -1.226

=====

(3)
68
Lattice="8.550 0.000 0.000 0.022 8.673 0.000 0.019 0.013 8.816" Properties=species:S:1:pos:R:3 comment="PBE+U Li5TiMn3O8, optimized geometry" e_form_mev_per_atom=-2324 crystal_system=triclinic energy_ha_per_atom=-0.245 pbc="T T T"
Li 8.490 0.033 0.074
Li 5.449 1.331 3.208
Li 1.192 1.253 7.608
Li 2.933 1.448 5.860
Li 7.243 1.522 1.465
Li 1.146 3.154 5.913
Li 7.203 3.175 3.310
Li 3.120 3.140 7.662
Li 5.448 3.220 1.380
Li 0.115 4.315 4.334
Li 4.346 4.500 0.019
Li 2.984 5.576 1.327
Li 5.548 5.663 7.377
Li 1.390 5.911 3.335
Li 7.334 5.743 5.605
Li 3.134 7.560 2.903
Li 5.495 7.564 5.727
Li 7.259 7.477 7.517
Li 1.186 7.340 1.249
Li 4.171 8.675 4.459
Ti 7.469 1.151 5.576
Ti 1.110 3.323 1.055
└──
(The page goes on)
18 Feb 2015 This author has read The Terra Papers (1996) PDF book by Robert Morning Sky, and in 3670 B.C.E. under the oversight of planet Eridu Administrators, Lord Enlil and Lord Enki. occurring in the more completely developed genesis of the Adamus hybrids. The Terra Papers, 1996—PDF Download:.
Sumerian Theogony and Cosmogony - Free download as PDF File (.pdf), Text File (.txt) or read online for free. The Creation-Story of Genesis I. The Hittite player (who controls the Sea Peoples) will attempt to withdraw the units there. The Mitanni force, however, has Chariot Supremacy, so that player declares he will hinder the attempt [1d6=5, -3 = 2] but fails. Contribute to blockfreight/bftx-whitepaper development by creating an account on GitHub. Out of that land he went forth into Assyria, and builded Nineveh, and Rehoboth-Ir, and Calah, and Resen between Nineveh and Calah (the same is the great city)." The mythological antediluvian section of the SKL has the following entry: "After the kingship descended from Heaven, the kingship was in Eridu.